
100th and Final Regression

Trapped in a global death tower where only those aged 20 to 50 participate, Yoshida Yuji stands at the 100th floor's entrance. Final after 99 attempts, Yoshida Yuji has reached the top of the tower. Despite reaching the top of the tower, the tower taunts him by saying there is a requirement for a 3-5 member party members to challenge the 100th Floor. On his 100th try, armed with knowledge from past failures, Yoshida Yuji endeavors to gather the companions needed. Will this final attempt lead to victory, or will Yoshida Yuji succumb to the tower's relentless challenges?

Spectat0r · Fantasy
Not enough ratings
21 Chs

The New Year Disaster

Everyone aims to evade death, even Yuji, who possesses the ability to regress 100 times.

Despite having died 98 times and currently being on his 99th regression, Yuji still perceives death as a daunting prospect.

But finally, he wouldn't have to worry about succumbing to monsters only found in fantasy novels, as he has reached the 100th floor of the tower—the last floor where the boss resides.

Yuji has never reached the 100th floor, even though he has relived the same 8 years for most of his 99 regressions.

This time, the route he took was the correct one, doubling his strength compared to his last regression.

Standing before colossal doors with skull bones as knockers, Yuji reached out to knock and prepare for a battle that would determine whether everything would return to normal or not.

As his hands approached the skull, a blue system notice appeared before his face.

[Party Members Insufficient | 1/5]

Yuji nervously chuckled, believing this was a joke the game masters were playing on him.

But deep down he knew it was reality, but he still held on to the last string of hope.

He tried reaching for the skulls again, but the message popped up once more.

[Party Members Insufficient | 1/5]

"Fuckkkkk!" Yuji shouted as he attacked the boss room doors with his strongest attacks.

Although these attacks could level multiple cities at once, they didn't leave a scratch on the doors.

~~~
The following is a DFT calculation (PBE-GGA) of a geometry-optimized Sm5ZnBi4 structure.

Magnetization   0.00 μB per formula unit
Energy   -4.744 eV/atom
Formation energy   -704 meV per atom

a = 6.3834 Å, b = 7.8129 Å, c = 7.8129 Å
α = 80.39°, β = 65.89°, γ = 65.89°
Fractional coordinates of all 10 atoms:
Sm 0.3006 0.8036 0.5971
Sm 0.5014 0.0000 0.0000
Sm 0.1041 0.5971 0.1964
Sm 0.8977 0.4029 0.8036
Sm 0.7013 0.1964 0.4029
Bi 0.8014 0.7971 0.6020
Bi 0.5985 0.6020 0.2029
Bi 0.2005 0.2029 0.3980
Bi 0.4034 0.3980 0.7971
Zn 0.0015 0.0000 0.0000



The following is a DFT calculation (PBE-GGA) of a geometry-optimized Sm8ZnBi2 structure.

Magnetization   0.75 μB per formula unit
Energy   -4.550 eV/atom
Formation energy   -297 meV per atom

a = 5.1946 Å, b = 6.8806 Å, c = 10.1978 Å
α = 103.28°, β = 104.76°, γ = 90.00°
Last column: magnetic moment on the atom in μB.
Fractional coordinates of all 11 atoms:
Sm 0.6517 0.0209 0.3034  0.05
Sm 0.3483 0.9791 0.6966  0.05
Sm 0.9869 0.2228 0.9738  0.01
Sm 0.7830 0.6701 0.5661  0.15
Sm 0.5901 0.4803 0.1803  0.00
Sm 0.2170 0.3299 0.4339  0.15
Sm 0.0131 0.7772 0.0262  0.01
Sm 0.4099 0.5197 0.8197  0.00
Bi 0.1788 0.7687 0.3576  -0.01
Bi 0.8212 0.2313 0.6424  -0.01
Zn 0.5000 0.0000 0.0000  0.00



Question: Which of these has the highest formation energy?
Answer: Sm8ZnBi2



Question: Look up the energy of the second one.
Answer: -4.550 eV/atom



Question: Number 1 is which compound?
Answer: Sm5ZnBi4

* * * * *

Entry 1:
First-principles (PBE) data for a relaxed HfTa2SnAs crystal, as listed in Alexandria via LeMat-Bulk.

formation energy	1.402	eV/atom
density of states at the Fermi level	5.6	states/eV/f.u.
size of the total moment	0.00	μB/f.u.

Cell and atoms, written as POSCAR:
```
HfTa2SnAs
1.0
5.094 0.000 0.000
0.000 5.094 0.000
0.000 0.000 4.894
Hf Ta Sn As
1 2 1 1
Direct
0.000 0.000 0.000
0.000 0.500 0.000
0.500 0.000 0.000
0.500 0.500 0.500
0.000 0.000 0.500
```



Entry 2:
First-principles (PBE) data for a relaxed HfZr2SnAs crystal, as listed in Alexandria via LeMat-Bulk.

formation energy	1.044	eV/atom
density of states at the Fermi level	8.2	states/eV/f.u.
size of the total moment	0.00	μB/f.u.

Cell and atoms, written as POSCAR:
```
HfZr2SnAs
1.0
5.311 0.000 0.000
0.000 5.311 0.000
0.000 0.000 5.062
Hf Zr Sn As
1 2 1 1
Direct
0.000 0.000 0.000
0.000 0.500 0.500
0.500 0.000 0.500
0.500 0.500 0.500
0.500 0.500 0.000
```



Entry 3:
First-principles (PBE) data for a relaxed SrHf2As2 crystal, as listed in Alexandria via LeMat-Bulk.

formation energy	-0.791	eV/atom
density of states at the Fermi level	3.5	states/eV/f.u.
size of the total moment	0.00	μB/f.u.

Cell and atoms, written as POSCAR:
```
SrHf2As2
1.0
4.280 0.000 0.000
0.000 4.280 0.000
0.000 0.000 13.237
Sr Hf As
2 4 4
Direct
0.000 0.000 0.000
0.500 0.500 0.500
0.000 0.500 0.250
0.000 0.500 0.750
0.500 0.000 0.250
0.500 0.000 0.750
0.000 0.000 0.379
0.000 0.000 0.621
0.500 0.500 0.121
0.500 0.500 0.879
```



Entry 4:
~~~

Yuji rested his back against the doors and slowly descended to the floor while he cried.

Everything he did and sacrificed just to make it here was in vain.

On the 99th floor, he was the only survivor. He could've saved some lives on the 99th floor, but it was a risk he wasn't willing to take. Especially since he had one more regression left.

Since Yuji had never passed the 95th floor until this regression, he didn't know the boss room required 5 people.

If he knew, he would've saved powerful and useful individuals on the 99th floor to challenge the boss room with him.

And being the last survivor on the any floor 50 and up, Yuji would have to wait years for anyone else to reach the 100th floor.

Unable to return to Earth until he defeats the current floor, he must wait for the next group of players.

And that could take decades. After all, what if someone, like Yuji, becomes the sole survivor of the 99th floor? All the waiting he had to do, would be for nothing.

And he would have to wait another decade just for another player.

Yuji, however, was willing to wait, especially since he finally reached the 100th floor and has one more regression, that isn't guaranteed he'll make it to the 100th floor.

Rather than killing himself to restart, Yuji decided to bide his time until four worthy individuals joined him.

But he instantly stabbed himself in the heart when he saw the system message.

[Due to the insufficient amount of party members, remaining players on this floor will be killed in 10 seconds.]

Yuji chuckled, "You've already made a fool of me once with this stupid boss room. Yet instead of letting me suffer for decades in this room, you're gonna try to kill me?"

Yuji killed himself as he didn't want to be killed by the game master who already made a fool of him countless amount of times.

Yuji wondered what the system or the game master controlling it wanted.

He thought it was to make him suffer throughout his regressions, but instead of letting him suffer the worst punishment, they were going to kill him?

While some would be happy to die in a situation with nothing to do but stare at a blank wall for decades, Yuji had one more chance to beat this tower.

____________
Entry from the Alexandria database: a relaxed LiTaTi2N4 crystal (PBE).

a = 4.2340 Å, b = 4.2340 Å, c = 8.6006 Å
α = 90.00°, β = 90.00°, γ = 90.00°
Last column: nearest neighbours and their distance in Å.
Space group I4/mmm (No. 139)
Symmetry-distinct sites (fractional):
Li 0.0000 0.0000 0.0000 (multiplicity 2)  6 N 2.12-2.16
Ta 0.0000 0.0000 0.5000 (multiplicity 2)  6 N 2.12-2.14
Ti 0.0000 0.5000 0.2500 (multiplicity 4)  6 N 2.12-2.15
N 0.0000 0.0000 0.2514 (multiplicity 4)  4 Ti 2.12, 1 Ta 2.14, 1 Li 2.16
N 0.0000 0.5000 0.0000 (multiplicity 4)  2 Ta 2.12, 2 Li 2.12, 2 Ti 2.15

Properties
V	9.636	Å³/atom
N(E_F)	0.275	states/eV per atom
energy relative to the elements, uncorrected	-1.4089	eV per atom
total magnetic moment	0.00	Bohr magnetons per cell

=====

Entry from the Alexandria database: a relaxed Li2TaTiN4 crystal (PBE).

a = 6.0761 Å, b = 6.1807 Å, c = 8.6567 Å
α = 90.00°, β = 90.00°, γ = 90.00°
Last column: nearest neighbours and their distance in Å.
Space group Imma (No. 74)
Symmetry-distinct sites (fractional):
Li 0.0000 0.0000 0.0000 (multiplicity 4)  6 N 2.24-2.26
Li 0.2500 0.2500 0.2500 (multiplicity 4)  6 N 2.25-2.27
Ta 0.0000 0.0000 0.5000 (multiplicity 4)  6 N 2.08-2.10
Ti 0.2500 0.2500 0.7500 (multiplicity 4)  6 N 2.07-2.09
N 0.0000 0.0227 0.7400 (multiplicity 8)  2 Ti 2.07, 1 Ta 2.08, 3 Li 2.26-2.27
N 0.2326 0.2500 0.5092 (multiplicity 8)  1 Ti 2.09, 2 Ta 2.10, 3 Li 2.24-2.25

Properties
V	10.159	Å³/atom
N(E_F)	0.222	states/eV per atom
energy relative to the elements, uncorrected	-0.9529	eV per atom
total magnetic moment	0.00	Bohr magnetons per cell

=====

Entry from the Alexandria database: a relaxed Li2TaTi3N6 crystal (PBE).

a = 5.2077 Å, b = 8.9992 Å, c = 5.2342 Å
α = 90.00°, β = 109.25°, γ = 90.00°
Last column: nearest neighbours and their distance in Å.
Space group C2/m (No. 12)
Symmetry-distinct sites (fractional):
Li 0.0000 0.1648 0.0000 (multiplicity 4)  6 N 2.18-2.21
Ta 0.0000 0.5000 0.0000 (multiplicity 2)  6 N 2.11-2.12
Ti 0.0000 0.0000 0.5000 (multiplicity 2)  6 N 2.07-2.15
Ti 0.0000 0.3289 0.5000 (multiplicity 4)  6 N 2.06-2.11
N 0.2330 0.5000 0.7381 (multiplicity 4)  3 Ti 2.10-2.15, 1 Ta 2.11, 2 Li 2.18
N 0.2485 0.3392 0.2640 (multiplicity 8)  3 Ti 2.06-2.11, 1 Ta 2.12, 2 Li 2.20-2.21

Properties
V	9.649	Å³/atom
N(E_F)	0.205	states/eV per atom
energy relative to the elements, uncorrected	-1.3597	eV per atom
total magnetic moment	0.00	Bohr magnetons per cell

=====

Entry from the Alexandria database: a relaxed LiTa3Ti4N8 crystal (PBE).

a = 6.0861 Å, b = 6.0861 Å, c = 14.9298 Å
α = 90.00°, β = 90.00°, γ = 120.00°
Last column: nearest neighbours and their distance in Å.
Space group R-3m (No. 166, hexagonal axes)
Symmetry-distinct sites (fractional):
Li 0.0000 0.0000 0.0000 (multiplicity 3)  6 N 2.16
Ta 0.0000 0.5000 0.0000 (multiplicity 9)  6 N 2.16-2.18
Ti 0.0000 0.0000 0.5000 (multiplicity 3)  6 N 2.14
Ti 0.0000 0.5000 0.5000 (multiplicity 9)  6 N 2.13-2.14
____________

And there was no guarantee he would make it back to this floor in his last regression.

As life slowly escaped Yuji's eyes, he raised his arm and gave the game masters watching the middle finger, "Fuck you!"

And he died the next moment.


Opening his eyes to a starry night illuminated by the bright lights of billboards, screens, and flashlights of thousands of people crowding the streets, shouting the countdown.




As they counted down, Yuji watched, remembering everything that happened a moment ago.

He vowed to himself, no matter what he had to do to reach the 100th floor again, he was willing to do it.

And he wasn't just going to beat the 100th floor; he was going to kill the same game masters who used him as amusement.

As the countdown reached 0, and every person present shouted happy new years.

A violent tremor followed, leaving the crowd bewildered.

Some believed due to the massive number of people in this one area and them shouting at the same time, it caused an unexpected tremor.

A few minutes passed, and everyone had forgotten about the tremor. Instead, they were hugging and crying, wishing everyone the best for their new year.

But that tremor happened again, and this time, it wasn't quickly brushed off.

It was so strong that people fell to their knees, and buildings shook violently.

Chaos erupted, causing a lot of people to run over others.

But everyone quickly stopped to look at the scene in the distance.

Coming out of the floor was a giant tower that would make any of the largest man-made buildings in the world look like a toy.

And then, when they thought that nothing could be more shocking than a tower appearing from the floor.

Red and blue portals appeared all over the sky, and figures that looked like angels descended out of them.

(Calculated crystals, kept here for reference)
........
(A)
A plane-wave DFT calculation with PBE+U was carried out for a relaxed VCoN2F crystal.

N(E_F)	0.365	states/eV per atom
volume	59.47	Å³/cell

Unit cell a=4.1625 b=4.1625 c=3.4324 alpha=90.00 beta=90.00 gamma=90.00
Last column: nearest neighbours and their distance in Å.
Element x y z (fractional)
V  0.0000  0.0000  0.0000  8 N 2.70, 4 Co 2.94
Co  0.5000  0.5000  0.0000  2 F 1.72
N  0.0000  0.5000  0.5000  2 F 2.08
N  0.5000  0.0000  0.5000  2 F 2.08
F  0.5000  0.5000  0.5000  2 Co 1.72

---

(B)
A plane-wave DFT calculation with PBE+U was carried out for a relaxed VCoN2F crystal.

N(E_F)	0.558	states/eV per atom
volume	51.15	Å³/cell

Unit cell a=3.7167 b=3.7167 c=3.7029 alpha=90.00 beta=90.00 gamma=90.00
Last column: nearest neighbours and their distance in Å.
Element x y z (fractional)
V  0.0000  0.0000  0.0000  8 N 2.62, 4 F 2.63
Co  0.5000  0.5000  0.5000  2 F 1.85, 4 N 1.86
N  0.0000  0.5000  0.5000  2 Co 1.86
N  0.5000  0.0000  0.5000  2 Co 1.86
F  0.5000  0.5000  0.0000  2 Co 1.85

---

(C)
A plane-wave DFT calculation with PBE+U was carried out for a relaxed VCoN2F crystal.

N(E_F)	0.358	states/eV per atom
volume	55.83	Å³/cell

Unit cell a=3.8417 b=3.8417 c=3.7831 alpha=90.00 beta=90.00 gamma=90.00
Last column: nearest neighbours and their distance in Å.
Element x y z (fractional)
V  0.0000  0.0000  0.0000  2 F 1.89, 4 N 1.92
Co  0.5000  0.5000  0.5000  8 N 2.70, 4 F 2.72
N  0.0000  0.5000  0.0000  2 V 1.92
N  0.5000  0.0000  0.0000  2 V 1.92
F  0.0000  0.0000  0.5000  2 V 1.89

---

What should be chosen as the most stable of them? Choose (C).

---

(A)
A plane-wave DFT calculation with PBE+U was carried out for a relaxed CoWN2F crystal.

N(E_F)	0.177	states/eV per atom
volume	51.25	Å³/cell

Unit cell a=3.8397 b=3.8397 c=3.4759 alpha=90.00 beta=90.00 gamma=90.00
Last column: nearest neighbours and their distance in Å.
Element x y z (fractional)
Co  0.0000  0.0000  0.0000  2 F 1.74, 4 N 1.92
W  0.5000  0.5000  0.5000  8 N 2.59, 4 F 2.72
N  0.0000  0.5000  0.0000  2 Co 1.92
N  0.5000  0.0000  0.0000  2 Co 1.92
F  0.0000  0.0000  0.5000  2 Co 1.74

---

(B)
A plane-wave DFT calculation with PBE+U was carried out for a relaxed CoWN2F crystal.

N(E_F)	0.630	states/eV per atom
volume	65.33	Å³/cell

Unit cell a=4.0112 b=4.0112 c=4.0607 alpha=90.00 beta=90.00 gamma=90.00
Last column: nearest neighbours and their distance in Å.
Element x y z (fractional)
Co  0.0000  0.0000  0.0000  4 F 2.84, 8 N 2.85
W  0.5000  0.5000  0.5000  4 N 2.01, 2 F 2.03
N  0.0000  0.5000  0.5000  2 W 2.01
N  0.5000  0.0000  0.5000  2 W 2.01
F  0.5000  0.5000  0.0000  2 W 2.03

---

What should be chosen as the most stable of them? Choose (B).

---

(A)
A plane-wave DFT calculation with PBE+U was carried out for a relaxed CoWNF2 crystal.

N(E_F)	1.012	states/eV per atom
volume	70.99	Å³/cell

Unit cell a=4.2346 b=4.2346 c=3.9588 alpha=90.00 beta=90.00 gamma=90.00
Last column: nearest neighbours and their distance in Å.
Element x y z (fractional)
........

Religious people in the crowd shouted that this was the end times and God had come to punish the sinners.

As the angels parted ways, each going in their own particular direction.

An angel floated above Yuji's crowd and spoke in a tone that made everyone feel at ease, "Hello humans! Welcome to the new world!"